12 Jun Create Phar with Symfony Console Component PHPSymfony How to create PHAR file with Symfony framework component inside
21 Jun Create a local bundle in Symfony 4/5 OtherSymfony Create a bundle, component or anything outside standard src folder in Symfony 4/5
Between two parts of the piece: data records
/*
[1]
RuAu3 | PBE | optimized geometry

Properties
- DFT formation energy: 0.366 eV per atom
- Final energy: -4.408 eV per atom
- Calculated volume: 17.10 A^3/atom
- Magnetization: 1.55 μB per formula unit

Lattice parameters (Å, degrees): 4.909 4.909 4.909 129.66 129.66 73.95
Sites, in units of the cell vectors:
1 Ru 0.000 0.000 0.000
2 Au 0.250 0.750 0.500
3 Au 0.500 0.500 0.000
4 Au 0.750 0.250 0.500


[2]
Y2RuAu | PBE | optimized geometry

Properties
- DFT formation energy: -0.574 eV per atom
- Final energy: -6.945 eV per atom
- Calculated volume: 21.69 A^3/atom
- Magnetization: 0.00 μB per formula unit

Lattice parameters (Å, degrees): 4.969 4.969 4.969 60.00 60.00 60.00
Sites, in units of the cell vectors:
1 Y 0.250 0.250 0.250
2 Y 0.750 0.750 0.750
3 Ru 0.000 0.000 0.000
4 Au 0.500 0.500 0.500


[3]
AuS | PBE | optimized geometry

Properties
- DFT formation energy: -0.034 eV per atom
- Final energy: -3.488 eV per atom
- Calculated volume: 22.84 A^3/atom
- Magnetization: 0.00 μB per formula unit

Lattice parameters (Å, degrees): 3.933 3.933 6.818 90.00 90.00 120.00
Sites, in units of the cell vectors:
1 Au 0.333 0.667 0.000
2 Au 0.667 0.333 0.500
3 S 0.333 0.667 0.354
4 S 0.667 0.333 0.854


[4]
Au3S | PBE | optimized geometry

Properties
- DFT formation energy: 0.224 eV per atom
- Final energy: -3.139 eV per atom
- Calculated volume: 18.11 A^3/atom
- Magnetization: 0.00 μB per formula unit

Lattice parameters (Å, degrees): 5.888 5.888 4.825 90.00 90.00 120.00
Sites, in units of the cell vectors:
1 Au 0.166 0.333 0.250
2 Au 0.166 0.834 0.250
3 Au 0.333 0.166 0.750
4 Au 0.667 0.834 0.250
5 Au 0.834 0.166 0.750
6 Au 0.834 0.667 0.750
7 S 0.333 0.667 0.750
8 S 0.667 0.333 0.250


[5]
Ta5AuS | PBE | optimized geometry

Properties
- DFT formation energy: -0.394 eV per atom
- Final energy: -9.851 eV per atom
- Calculated volume: 17.95 A^3/atom

Lattice parameters (Å, degrees): 8.924 8.924 8.924 60.00 60.00 60.00
Sites, in units of the cell vectors:
1 Ta 0.027 0.027 0.473
2 Ta 0.027 0.473 0.027
3 Ta 0.027 0.473 0.473
4 Ta 0.146 0.618 0.618
5 Ta 0.198 0.198 0.802
6 Ta 0.198 0.802 0.198
7 Ta 0.198 0.802 0.802
8 Ta 0.473 0.027 0.027
9 Ta 0.473 0.027 0.473
10 Ta 0.473 0.473 0.027
11 Ta 0.504 0.832 0.832
12 Ta 0.618 0.146 0.618
13 Ta 0.618 0.618 0.146
14 Ta 0.618 0.618 0.618
15 Ta 0.802 0.198 0.198
16 Ta 0.802 0.198 0.802
17 Ta 0.802 0.802 0.198
18 Ta 0.832 0.504 0.832
19 Ta 0.832 0.832 0.504
20 Ta 0.832 0.832 0.832
21 Au 0.400 0.400 0.400
22 Au 0.400 0.400 0.801
23 Au 0.400 0.801 0.400
24 Au 0.801 0.400 0.400
25 S 0.131 0.131 0.131
26 S 0.131 0.131 0.607
27 S 0.131 0.607 0.131
28 S 0.607 0.131 0.131


[6]
VAuS2 | PBE | optimized geometry

Properties
- DFT formation energy: -0.956 eV per atom
- Final energy: -5.862 eV per atom
- Calculated volume: 17.11 A^3/atom

Lattice parameters (Å, degrees): 3.225 3.225 15.189 90.00 90.00 120.00
Sites, in units of the cell vectors:
1 V 0.333 0.667 0.250
2 V 0.667 0.333 0.750
3 Au 0.000 0.000 0.000
*/
22 Apr Thinkpad P54 with Ubuntu 20.04 - Nvidia driver problems OtherUbuntu After update there was some problems with nvidia drivers. Took me a little while to fix it so here is my solution.
19 Apr Install docker on Ubuntu 20.04 OtherUbuntu How to install docker on Ubuntu 20.04 Focal fossa with different apt repository.
Attached: data records
'''
(1)
The following is a DFT calculation (PBE+U) of a geometry-optimized MgCr4W2O12 structure.

extended XYZ file:
```
19
Lattice="4.755 0.000 0.000 0.000 9.205 0.000 -0.065 0.000 4.781" Properties=species:S:1:pos:R:3 pbc="T T T"
Mg 0.000 0.000 0.000
Cr -0.032 0.220 2.390
Cr -0.032 3.280 2.390
Cr 2.378 4.848 0.000
Cr 2.378 7.817 0.000
W -0.032 6.299 2.390
W 2.378 1.839 0.000
O 0.792 7.925 1.325
O 0.827 1.650 1.264
O 0.857 4.806 1.437
O 1.421 6.373 3.747
O 1.458 3.296 3.795
O 1.506 0.214 3.737
O 3.184 0.214 1.043
O 3.232 3.296 0.986
O 3.270 6.373 1.034
O 3.834 4.806 3.344
O 3.863 1.650 3.516
O 3.899 7.925 3.455
```

E_tot = -142.91 eV/f.u.
Symmetry = No. 3
ΔH_f (0 K) = -2238 meV per atom

(2)
The following is a DFT calculation (PBE+U) of a geometry-optimized Li8Mn3Fe5B8O24 structure.

extended XYZ file:
```
48
Lattice="5.237 0.000 0.000 0.138 6.065 0.000 0.238 2.309 15.982" Properties=species:S:1:pos:R:3 pbc="T T T"
Li 0.000 0.000 0.000
Li 5.424 4.180 8.013
Li 1.821 3.918 11.535
Li 1.769 5.795 3.494
Li 2.904 6.273 12.041
Li 2.720 2.085 3.992
Li 4.349 1.838 7.519
Li 4.536 6.020 15.467
Mn 1.904 6.738 6.397
Mn 2.773 5.327 9.129
Mn 4.433 4.644 2.424
Fe 1.932 4.863 14.446
Fe 2.607 1.157 1.099
Fe 4.458 2.756 10.432
Fe 5.508 7.425 13.066
Fe 5.327 3.234 5.123
B 1.795 4.085 0.992
B 1.857 2.205 9.016
B 2.688 3.810 6.507
B 2.874 8.010 14.505
B 4.563 4.287 13.002
B 4.512 6.178 5.004
B 5.209 1.720 2.522
B 5.407 5.898 10.532
O 0.432 4.193 0.790
O 0.496 2.332 8.841
O 1.336 1.591 2.682
O 1.531 5.793 10.746
O 1.943 4.709 7.271
O 2.003 2.849 15.286
O 2.188 7.197 13.599
O 2.020 2.988 5.586
O 2.442 4.907 1.905
O 2.538 3.024 9.928
O 2.594 1.299 8.248
O 2.543 3.170 0.232
O 3.199 4.418 12.837
O 3.153 6.282 4.776
O 4.049 3.690 6.691
O 4.235 7.877 14.671
O 4.652 6.809 11.288
O 4.483 2.621 3.311
O 4.525 0.913 1.606
O 4.771 5.073 9.611
O 5.007 0.958 5.913
O 5.252 5.105 13.897
O 5.291 3.375 12.222
O 5.273 5.255 4.273
```

E_tot = -339.49 eV/f.u.
Symmetry = No. 1
ΔH_f (0 K) = -2395 meV per atom

(3)
The following is a DFT calculation (PBE+U) of a geometry-optimized Li7Mn5O12 structure.

extended XYZ file:
```
48
Lattice="4.876 -4.304 0.000 4.876 4.304 0.000 -1.180 0.000 10.583" Properties=species:S:1:pos:R:3 pbc="T T T"
Li 9.455 0.000 2.648
Li -0.884 0.000 7.935
Li 2.040 1.416 4.057
Li 1.456 1.419 9.349
Li 2.161 0.000 1.390
Li 1.567 0.000 6.677
Li 2.040 -1.416 4.057
Li 1.456 -1.419 9.349
Li 7.114 1.419 1.234
Li 6.531 1.416 6.526
Li 7.004 0.000 3.906
Li 6.410 0.000 9.192
Li 7.114 -1.419 1.234
Li 6.531 -1.416 6.526
Mn 4.876 2.881 0.000
Mn 4.285 2.877 5.291
Mn 4.577 1.459 2.652
Mn 3.994 1.459 7.931
Mn 4.876 0.000 0.000
Mn 4.285 0.000 5.291
Mn 4.577 -1.459 2.652
Mn 3.994 -1.459 7.931
Mn 4.285 -2.877 5.291
Mn 4.876 -2.881 0.000
O 3.457 2.802 3.503
O 2.874 2.802 8.789
O 0.598 0.000 4.748
O 0.014 0.000 10.043
O 3.678 1.450 0.578
O 3.087 1.448 5.870
O 5.697 2.802 1.793
O 5.114 2.802 7.080
O 3.356 0.000 3.220
O 2.778 0.000 8.510
O 5.484 1.448 4.712
O 4.893 1.450 10.005
'''
19 Apr OtherUbuntu Ubuntu 20.04 installation on ThinkPad P53 with thunderbold docking station, nvidia graphics and two external monitors.
1 Apr Drupal 8 Learn how theme preprocess hooks works and how to use them. Preprocess and theme suggestions examples.
(Next to the article, the page also holds materials data)
'''
First-principles (PBE) data for ErP after structural relaxation, as listed in the Materials Project.

Energy   -6.599 eV/atom
Energy of formation from the pure elements   -1609 meV per atom

The structure in CIF format:
```
data_ErP
_chemical_formula_sum 'Er4 P4'
_cell_length_a 5.613
_cell_length_b 5.613
_cell_length_c 5.613
_cell_angle_alpha 90.00
_cell_angle_beta 90.00
_cell_angle_gamma 90.00
_space_group_name_H-M_alt 'F m -3 m'
_space_group_IT_number 225
_space_group_name_Hall '-F 4 2 3'
loop_
_atom_site_label
_atom_site_type_symbol
_atom_site_fract_x
_atom_site_fract_y
_atom_site_fract_z
Er1 Er 0.000 0.000 0.000
P1 P 0.000 0.000 0.500
```

----------

## P28Pb5I2 (GGA-PBE)

Data for an optimized crystal structure of P28Pb5I2.

Cell: 18.1680 9.8765 19.7888 Å, 83.74 90.00 90.00°
Closest atoms and distances in Å follow each position.
Sites, in units of the cell vectors:
Pb1 0.1284 0.7080 0.0429  4 P 2.83-3.08
Pb2 0.6651 0.8045 0.7963  4 P 2.83-3.07
Pb3 0.8345 0.7809 0.0237  3 P 2.83-3.04
Pb4 0.6655 0.2809 0.5237  3 P 2.83-3.04
Pb5 0.1651 0.6955 0.7037  4 P 2.83-3.07
Pb6 0.3716 0.2080 0.5429  4 P 2.83-3.08
Pb7 0.6397 0.3048 0.1274  2 I 3.11-3.23, 4 P 3.12-3.28
Pb8 0.3345 0.7191 0.4763  3 P 2.83-3.04
Pb9 0.8716 0.2920 0.9571  4 P 2.83-3.08
Pb10 0.3349 0.1955 0.2037  4 P 2.83-3.07
Pb11 0.8349 0.3045 0.2963  4 P 2.83-3.07
Pb12 0.2961 0.6901 0.2646  3 P 2.83-2.97
Pb13 0.7039 0.3099 0.7354  3 P 2.83-2.97
Pb14 0.7961 0.8099 0.2354  3 P 2.83-2.97
Pb15 0.8603 0.8048 0.6274  2 I 3.11-3.23, 4 P 3.12-3.28
Pb16 0.1655 0.2191 0.9763  3 P 2.83-3.04
Pb17 0.1397 0.1952 0.3726  2 I 3.11-3.23, 4 P 3.12-3.28
Pb18 0.6284 0.7920 0.4571  4 P 2.83-3.08
Pb19 0.3603 0.6952 0.8726  2 I 3.11-3.23, 4 P 3.12-3.28
Pb20 0.2039 0.1901 0.7646  3 P 2.83-2.97
P1 0.8446 0.0015 0.8263  3 P 2.19-2.23
P2 0.3999 0.6692 0.7172  3 P 2.22-2.25
P3 0.0317 0.3877 0.6486  3 P 2.18-2.24
P4 0.1327 0.2358 0.5272  3 P 2.22-2.24
P5 0.8914 0.6033 0.9336  2 P 2.19
P6 0.9843 0.5052 0.1763  3 P 2.21-2.32
P7 0.0240 0.7126 0.6430  2 P 2.21
P8 0.9934 0.3640 0.0964  3 P 2.19-2.23
P9 0.0134 0.8216 0.8288  3 P 2.23-2.25
P10 0.8673 0.7642 0.4728  3 P 2.22-2.24
P11 0.8047 0.9441 0.4263  3 P 2.19-2.22
P12 0.6554 0.5015 0.3263  3 P 2.19-2.23
P13 0.6354 0.5883 0.9850  3 P 2.22-2.30
P14 0.1488 0.4084 0.6698  2 P 2.18-2.19
P15 0.5242 0.6006 0.9294  3 P 2.21-2.30
P16 0.3914 0.8967 0.5664  2 P 2.19
P17 0.8704 0.4239 0.4890  3 P 2.22-2.29
P18 0.4056 0.3313 0.7348  3 P 2.22-2.31
P19 0.8072 0.5943 0.4329  3 P 2.19-2.23
P20 0.0087 0.9829 0.8991  3 P 2.18-2.23
P21 0.5087 0.5171 0.6009  3 P 2.18-2.23
P22 0.4658 0.5367 0.1520  3 P 2.18-2.23
P23 0.6506 0.4939 0.8239  2 P 2.18-2.19
P24 0.9760 0.2874 0.3570  2 P 2.21
P25 0.5944 0.6687 0.2652  3 P 2.22-2.31
P26 0.3494 0.5061 0.1761  2 P 2.18-2.19
P27 0.5134 0.6784 0.6712  3 P 2.23-2.25
P28 0.5240 0.7874 0.8570  2 P 2.21
P29 0.0342 0.0367 0.6520  3 P 2.18-2.23
P30 0.9658 0.9633 0.3480  3 P 2.18-2.23
P31 0.5317 0.1123 0.8514  3 P 2.18-2.24
'''
1 Apr Drupal 8 - get node object from field template Drupal 8 Little snipped to get node object inside field.html.twig file or similar
28 Sep OtherUbuntu In a short, Thinkpad P53 works fine on a Ubuntu 19.10, but there are problems with older Ubuntu versions.
1 Apr Ubuntu 18 - Create LAMP with different PHP versions OtherApacheUbuntu Preparing enviroment with Apache, PHP 5, PHP 7, Mysql/MariaDb on Ubuntu 18 with few useful tools
6 Mar FFMpeg - Cut video without reencoding OtherFFmpeg Fast and easy method to cut video with specified start/end time without reencoding
28 Feb Redirect www to non www with htaccess and vice versa OtherApache Redirect www.yourDomainName.com to yourDomainName.com or yourDomainName.com to www.yourDomainName.com with htaccess
23 Feb SSH - replace password with your RSA key OtherUbuntu Only one command is needed to replace password login method with your RSA key on most servers.
23 Feb GIT - rename a local and remote branch OtherGIT Easy method to rename branch on your local and remote repository.
16 Feb GIT - switch/check last branch name OtherGIT How to switch to previous branch or to check last used branches
16 Feb Apache - Change www-data user OtherApacheUbuntu Change default Apache user from www-data on Ubuntu.
15 Feb Drupal 8 - styling local task tabs with Bootstrap 4 Drupal 8 Styling menu local tasks with Bootstrap 4 tabs.
15 Feb PHP - New features cheatsheet from 7.0 to 7.2 PHP Short summary with commonly used new features for PHP 7.0, 7.1 and 7.2. Description and examples.
14 Feb Drupal 8 - Rename public directory from web to public_html Drupal 8 If you use Drupal 8 with composer, web is your public directory by default but you can easily change this to any name.